### To do
It remains to filter the block below: keep the lines with the word "this".
### Entries
Starting from a DFT-relaxed cell (PBE, Alexandria), the X-ray powder pattern of Ho10Sn3Sb3 was computed for Cu Ka.
No peak broadening, texture or thermal motion is included.

Largest 10 diffraction maxima, in order of falling intensity, 10° ≤ 2θ ≤ 80°:
| d [Å] | Rel. int. | hkl |
| --- | --- | --- |
| 2.658 | 100.0 | 2 1 1 |
| 2.601 | 77.7 | 1 1 2 |
| 2.578 | 41.8 | 3 0 0 |
| 2.923 | 33.9 | 2 1 0 |
| 1.723 | 27.6 | 2 1 3 |
| 2.957 | 20.9 | 1 0 2 |
| 1.831 | 20.8 | 2 2 2 |
| 1.392 | 16.8 | 5 0 2 |
| 3.200 | 15.7 | 0 0 2 |
| 1.655 | 14.8 | 4 0 2 |

Cell and atoms:
a = 8.9288 Å, b = 8.9288 Å, c = 6.3994 Å
α = 90.00°, β = 90.00°, γ = 120.00°
Space group P-62m (No. 189)
Symmetry-distinct sites (fractional):
Ho  0.0000  0.2415  0.0000
Ho  0.0000  0.7591  0.5000
Ho  0.3333  0.6667  0.2500
Sn  0.0000  0.3928  0.5000
Sb  0.0000  0.6084  0.0000


For LiV2OF5, a GGA+U-relaxed structure gives the simulated X-ray powder pattern in this record (Cu Kα X-rays).
Lines closer than 0.1° are merged.

Crystal structure
abc: 5.158 5.189 5.532
angles: 91.28 117.49 118.39
Fractional coordinates of all 9 atoms:
Li 0.000 0.000 0.000
V 0.620 0.809 0.368
V 0.622 0.336 0.901
O 0.730 0.683 0.132
F 0.110 0.420 0.137
F 0.123 0.176 0.637
F 0.463 0.058 0.137
F 0.548 0.976 0.659
F 0.755 0.601 0.658

Largest 12 diffraction maxima, in order of rising 2θ, 15° ≤ 2θ ≤ 90°:
- 2θ = 23.3°, I 100
- 2θ = 23.8°, I 50
- 2θ = 32.2°, I 11
- 2θ = 32.4°, I 11
- 2θ = 32.5°, I 12
- 2θ = 39.2°, I 9
- 2θ = 39.7°, I 13
- 2θ = 47.5°, I 21
- 2θ = 48.8°, I 9
- 2θ = 52.6°, I 18
- 2θ = 54.5°, I 9
- 2θ = 60.9°, I 9

For LiV4OF11, a GGA+U-relaxed structure gives the simulated X-ray powder pattern in this record (Cu Kα X-rays).
Lines closer than 0.1° are merged.

Crystal structure
abc: 5.214 5.501 7.633
angles: 94.42 90.34 90.80
Fractional coordinates of all 17 atoms:
Li 0.000 0.000 0.000
V 0.003 0.444 0.811
V 0.478 0.907 0.807
V 0.499 0.921 0.310
V 0.997 0.424 0.314
O 0.190 0.730 0.865
F 0.108 0.409 0.554
F 0.182 0.105 0.239
F 0.273 0.212 0.878
F 0.304 0.616 0.256
F 0.390 0.929 0.554
F 0.627 0.920 0.063
F 0.686 0.230 0.361
F 0.690 0.609 0.747
F 0.799 0.116 0.781
F 0.809 0.734 0.365
F 0.888 0.415 0.068

Largest 12 diffraction maxima, in order of rising 2θ, 15° ≤ 2θ ≤ 90°:
- 2θ = 23.4°, I 100
- 2θ = 23.7°, I 50
- 2θ = 32.5°, I 19
- 2θ = 32.7°, I 10
- 2θ = 39.4°, I 14
- 2θ = 39.6°, I 12
- 2θ = 47.8°, I 20
- 2θ = 48.5°, I 9
- 2θ = 52.7°, I 22
- 2θ = 52.8°, I 7
- 2θ = 53.2°, I 7
- 2θ = 55.0°, I 7

For Li3V2O4F2, a GGA+U-relaxed structure gives the simulated X-ray powder pattern in this record (Cu Kα X-rays).
Lines closer than 0.1° are merged.

Crystal structure
abc: 5.993 5.993 14.881
angles: 90.34 90.34 59.72
Fractional coordinates of all 44 atoms:
Li 0.000 0.000 0.000
Li 0.004 0.004 0.494
Li 0.171 0.171 0.850
Li 0.202 0.670 0.871
Li 0.341 0.341 0.114
Li 0.345 0.814 0.123
Li 0.505 0.998 0.493
Li 0.535 0.961 0.990
Li 0.670 0.202 0.871
Li 0.814 0.345 0.123
Li 0.961 0.535 0.990
Li 0.998 0.505 0.493
V 0.169 0.671 0.329
V 0.171 0.171 0.323
V 0.340 0.836 0.657
V 0.342 0.342 0.655
V 0.667 0.667 0.327
V 0.671 0.169 0.329
V 0.835 0.835 0.669
V 0.836 0.340 0.657
O 0.003 0.495 0.261
O 0.004 0.004 0.264
O 0.005 0.005 0.725
O 0.019 0.503 0.725
O 0.155 0.671 0.587
O 0.172 0.172 0.582
O 0.332 0.852 0.401
O 0.333 0.333 0.399
O 0.495 0.003 0.261
O 0.501 0.501 0.724
O 0.503 0.019 0.725
O 0.515 0.515 0.260
O 0.671 0.155 0.587
O 0.680 0.680 0.588
O 0.827 0.827 0.403
O 0.852 0.332 0.401
F 0.164 0.670 0.072
F 0.165 0.165 0.084
F 0.322 0.870 0.916
F 0.332 0.332 0.903
F 0.670 0.164 0.072
F 0.671 0.671 0.075
F 0.852 0.852 0.913
F 0.870 0.322 0.916

Largest 12 diffraction maxima, in order of rising 2θ, 15° ≤ 2θ ≤ 90°:
- 2θ = 17.9°, I 100
- 2θ = 23.9°, I 14
- 2θ = 30.0°, I 11
- 2θ = 35.1°, I 14
- 2θ = 35.2°, I 29
- 2θ = 42.5°, I 98
- 2θ = 55.9°, I 11
- 2θ = 61.1°, I 7
- 2θ = 61.5°, I 15
- 2θ = 61.9°, I 18
- 2θ = 62.2°, I 10
- 2θ = 78.3°, I 8
### Here it is
For LiV2OF5, a GGA+U-relaxed structure gives the simulated X-ray powder pattern in this record (Cu Kα X-rays).
For LiV4OF11, a GGA+U-relaxed structure gives the simulated X-ray powder pattern in this record (Cu Kα X-rays).
For Li3V2O4F2, a GGA+U-relaxed structure gives the simulated X-ray powder pattern in this record (Cu Kα X-rays).